As far back as my memory serves me, I have loved writing.
I was a total bookworm growing up and always had my nose between the pages of a book.
I would staple stacks of paper together to write stories in and (very badly) illustrate them.
I had no idea writing that blog would bring so many amazing people into my life.
I loved writing it because I wrote about what I knew. My life. My family. There were no expectations regarding the content.
“No way. Nobody is interested in my life.”
and then “Besides…I’m not that good of a writer anyway.”
Sean was the force behind me saying yes. He convinced me that I should.
After speaking with Jen, I knew I wanted to be a part of UrbanMoms.
Prior to UrbanMoms, the only thing I ever wrote that I was exceptionally proud of was a story for young children that made it through a round or two at an editors desk. It never went any further than that.
Somehow I lost the hard copy on my computer and it’s gone forever. It still makes me sad.
It was really good.
As much as I am critical of my own writing and I very often wonder if it’s good enough I have always hoped that one day I would be published.
Every time I click the “publish” button on this blog I feel a little bit of pride. Pride that people want to read what I write and enjoy reading what I write.
Last year I received in my inbox a call to submit a story for the next Chicken Soup For The Soul book. This one is about raising kids on the autism spectrum.
I submitted a story that I thought was fitting. I told nobody and then I forgot about it.
Until I received an email in January informing me that my story had made the final selection round. I was cautiously excited and still told nobody. Not even Sean.
I had some paperwork to fill out and send back and then waited once again. This time I didn’t forget about it. It was all I could think about.
Published? Me?
### These records of molecules were left in the text by mistake
(1)
Formula: C48H120O24
Source: the OMol25 dataset
Level of theory: the ωB97M-V functional and the def2-TZVPD basis

Calculated total energy ... -3705.9480 Eh
Kohn-Sham gap ... 9.586 eV
HOMO level ... -9.11 eV
ΔE to the lowest compared entry with this formula, charge and spin ... 68.4 kcal per mole
LUMO ... 0.4781 eV
SMILES string ... COCCOC.COCCOC.COCCOC.COCCOC.COCCOC.COCCOC.COCCOC.COCCOC.COCCOC.COCCOC.COCCOC.COCCOC

Structure (XYZ):
```
192
C48H120O24 the ωB97M-V functional and the def2-TZVPD basis
C 1.5411 0.0541 -5.8113
O 1.9571 1.3155 -5.2117
C 1.5749 1.4455 -3.8151
C 1.8130 2.7937 -3.3001
O 0.8406 3.6467 -3.8398
C 0.9988 4.9972 -3.4529
H 1.6408 0.0378 -6.8966
H 0.4901 -0.1713 -5.6307
H 1.9861 -0.8539 -5.4041
H 2.1543 0.7485 -3.2096
H 0.5227 1.2136 -3.6506
H 2.7828 3.2061 -3.5785
H 1.7935 2.9007 -2.2155
H 1.5454 5.4853 -4.2598
H 1.5701 5.0313 -2.5253
H 0.0025 5.3965 -3.2633
C -6.4292 4.9780 0.2400
O -5.2222 5.0948 -0.4723
C -4.5551 3.9472 -0.9702
C -3.1734 4.2860 -1.4923
O -3.2291 5.2246 -2.5765
C -3.5025 4.6215 -3.8695
H -6.3132 4.3983 1.1558
H -7.2670 4.5591 -0.3174
H -6.6765 5.9869 0.5702
H -5.1881 3.4840 -1.7271
H -4.4475 3.1588 -0.2252
H -2.5453 3.4253 -1.7220
H -2.7293 4.8199 -0.6522
H -4.4654 4.1111 -3.8918
H -2.7593 3.9601 -4.3148
H -3.5947 5.3495 -4.6756
C 0.8415 -4.6929 4.9107
O 0.9325 -5.6989 3.8964
C 2.1431 -5.7580 3.1678
C 3.3217 -6.3115 3.9842
O 3.6929 -5.5358 5.1159
C 4.6980 -6.1616 5.9448
H 1.3937 -5.0330 5.7868
H -0.2378 -4.6912 5.0630
H 1.0825 -3.6774 4.5965
H 2.4072 -4.7881 2.7464
H 2.0726 -6.4604 2.3372
H 4.1790 -6.4272 3.3211
H 3.1254 -7.3481 4.2581
H 4.9577 -5.4552 6.7333
H 5.6006 -6.4476 5.4049
H 4.2925 -7.0454 6.4373
C -3.6808 -4.0805 -0.3741
O -5.0754 -4.0047 -0.1472
C -5.5382 -2.7547 -0.6674
C -5.3590 -2.3121 -2.1305
O -6.1045 -3.1109 -3.0537
C -7.5245 -2.8019 -3.1098
H -3.1980 -4.9691 0.0325
H -3.1582 -3.2184 0.0403
H -3.3767 -4.1547 -1.4182
H -5.1529 -1.9477 -0.0441
H -6.5963 -2.7722 -0.4061
H -4.3063 -2.3057 -2.4131
H -5.6318 -1.2576 -2.1710
H -7.7177 -1.7393 -2.9624
H -8.0231 -3.4708 -2.4082
H -7.7964 -3.1259 -4.1144
C 4.6318 8.3521 -2.4535
O 4.8681 7.0664 -1.8977
C 4.8932 6.0416 -2.8777
C 5.0071 4.6620 -2.2958
O 3.9935 4.2898 -1.3443
C 4.3428 4.6382 -0.0189
H 4.5597 9.1214 -1.6847
H 3.6031 8.3533 -2.8139
H 5.4280 8.6996 -3.1119
H 5.7115 6.2332 -3.5718
H 4.0245 6.1306 -3.5299
H 6.0257 4.4930 -1.9467
H 4.9702 4.0284 -3.1820
H 5.2341 4.0938 0.2932
H 3.4947 4.3443 0.5995
H 4.5322 5.6990 0.1452
C -3.3921 0.1993 -1.1108
O -3.9003 0.7645 -2.3759
C -2.9346 0.8028 -3.4494
C -2.2257 -0.4966 -3.8941
O -0.9468 -0.6789 -3.2445
C -0.5011 -1.9753 -3.2049
H -2.9745 -0.8075 -1.1185
H -4.1682 0.2061 -0.3455
H -2.5888 0.8037 -0.6895
H -2.1772 1.5430 -3.1916
H -3.3571 1.2472 -4.3506
H -2.0397 -0.4344 -4.9663
H -2.9095 -1.3206 -3.6901
H -0.5129 -2.3640 -4.2232
H -1.2799 -2.4872 -2.6396
H 0.4790 -2.0377 -2.7322
C 0.0841 -2.6313 0.5839
O 0.0133 -1.2742 0.3179
C 1.1553 -0.6853 -0.2341
C 0.8732 0.8287 -0.2861
O 0.5423 1.3083 0.9992
Published? In a world renowned book series?
Yes! Me.
I received the email on January 29 informing me that my story had been selected to appear in Chicken Soup For The Soul: Raising Kids on the Spectrum.
It felt like a dream come true.
My submission is a story that I am proud of and a story that has a heartwarming message behind it.
I get paid for the submission and I get 10 free copies of the book, plus the option to purchases cases of the book for half price.
Leave a comment telling me a dream that you have or a dream that has come true for you and you could win a copy of this book!
(If you wish to purchase a copy of the book, it will be available on April 2, 2013 which also happens to be World Autism Day)
My dream is to meet all of my online-autism-mom-friends (and their kids) in real life. You are all more “real” to me than many of the people who live on my street.
My dream is to hear my nephew tell me he loves me….. 11 years, and I’m still praying like crazy!!!
congratulations my friend. well earned.
Congratulations Christine. This is an amazing achievement!
My dream is to become a hockey star… ha ha ha. Obviously not going to happen at age 38 after 3 kids, but I enjoy playing house league hockey and learning new skills everytime I go to hockey school!
Now that I look at the other comments, my dream seems a little shallow! I also dream of a happy, healthy life for my babies!!
My dream is to see my children overcome the challenges they are faced with and to succeed in life. Oh and to go to Disney with them as I have never been!!
I’ve been following your blog for ages (we “met” back in the BabyCenter days). I’m not at all surprised that you are now “officially” published, but I am thrilled!
Congratulations and keep writing. You have a lovely writing voice and important things to convey!
On a light note, is to hike the trail at Diamond Head! 🙂
My dream is to be able to plan my work around my life, as opposed to my life around my work. I have a cousin with autism and would give it to his parents to read.
My dream is to travel to Scotland one day.
My dream is to see my son-also on the spectrum-live a happy life with meaning and for him to always have people in his life who will love him and appreciate his strengths.
Congratulations on getting your story in the book!
My dream is to go on a vacation with my family of 5 and not have to worry about the cost of food, drinks, hotels etc.
Congrats – Love “Chicken Soup for the Soul” books!
Of course, this is your journey. You are amazing and gifted at many things. AND, the validation of a published piece really doesn’t hurt 🙂 Let’s see where it goes from here…
Much Love -K
This is just AMAZING!!! I am so happy for you. What an achievement. Congratulations xoxoxo
Amazing! Congratulations, Christine!
Congratulations Christine!!, Job well done!!